• Request:
Could you filter the block underneath: keep the lines with the word "The"?
• Data:
____________
(1)
The following is a PBE calculation of crystalline CdHN2 at its relaxed geometry, from Alexandria.

Summary:
Relative energy among the computed polymorphs, eV per atom: 0.252
Crystal system: tetragonal

abc: 3.785 3.785 5.944
angles: 71.43 71.43 90.00
Site moments in Bohr magnetons follow the coordinates.
Fractional coordinates of all 8 atoms:
Cd 0.000 0.000 0.000  0.02
Cd 0.750 0.250 0.500  0.02
H 0.500 0.500 0.000  -0.01
H 0.250 0.750 0.500  -0.01
N 0.875 0.690 0.750  0.15
N 0.375 0.560 0.750  0.15
N 0.440 0.125 0.250  0.15
N 0.310 0.625 0.250  0.15

---

(2)
The following is a PBE calculation of crystalline CdH3N at its relaxed geometry, from Alexandria.

Summary:
Relative energy among the computed polymorphs, eV per atom: 0.000
Crystal system: monoclinic

abc: 2.937 7.307 5.255
angles: 90.00 90.00 96.19
Fractional coordinates of all 10 atoms:
Cd 0.246 0.465 0.250
Cd 0.754 0.535 0.750
H 0.749 0.086 0.498
____________
• Here it is:
The following is a PBE calculation of crystalline CdHN2 at its relaxed geometry, from Alexandria.
The following is a PBE calculation of crystalline CdH3N at its relaxed geometry, from Alexandria.